
Happenings around Antioch

Leadership requires fearless action

Cat playing with little gerbil mouse on thetableAs the saying goes, “When the cat’s away, the mice will play.” I’ve never seen mice play, but whenever we’ve had a cat that’s worth anything, we don’t see mice at all. And . . . is there any other reason one would want a cat?

Anyway, the idea is that when the cat is gone, the mice reappear. It can happen at school. When the teacher is gone and the substitute is there, the students are much more likely to run the classroom. It can happen at home, as well. When a babysitter replaces the parents, things often go awry. Ask my older daughter. Several years ago while she was babysitting, a boy called her to the bottom of the steps, as he stood out of sight above her. When she looked up, he poured a pitcher of water on her face from the second floor landing. Things went south sometimes at our house, too, when mom and dad would leave. The children knew how to behave; we had worked with them on loving each other and being quick to say they were wrong when they hurt one of their brothers or sisters, and letting others go first, and on and on. Then we would go on a date and leave one of the older ones in charge. Thirty minutes later, we would get a phone call from one of the kids saying the older brother in charge was torturing them, slowly, or that one of the kids was holding the rest for ransom. Not really, but that’s the way I remember it. When the cat’s away, the mice take over.

Attached: data records >
┌──
(1)
{
  "formula": "C19H35Br4F3O9P",
  "method": "ωB97M-V/def2-TZVPD",
  "elements": ["C", "C", "Br", "C", "Br", "P", "C", "C", "C", "F", "Br", "C", "F", "F", "Br", "H", "H", "H", "H", "H", "H", "H", "H", "H", "H", "H", "C", "C", "O", "C", "O", "O", "C", "H", "H", "H", "H", "H", "H", "H", "H", "C", "C", "O", "C", "O", "O", "C", "H", "H", "H", "H", "H", "H", "H", "H", "C", "C", "O", "C", "O", "O", "C", "H", "H", "H", "H", "H", "H", "H", "H"],
  "xyz": [[2.011, -1.011, -3.334], [1.855, -0.071, -2.199], [3.517, 0.342, -1.336], [0.757, 0.448, -1.764], [-0.840, -0.118, -2.705], [0.437, 1.701, -0.309], [-0.056, 2.879, 1.128], [0.916, 4.026, 1.496], [1.114, 5.171, 0.528], [0.936, 6.326, 1.211], [-0.282, 5.240, -0.855], [2.537, 5.320, -0.162], [3.067, 6.454, 0.250], [2.457, 5.434, -1.458], [3.819, 3.939, 0.198], [1.764, -2.009, -2.998], [1.403, -0.715, -4.165], [3.032, -1.017, -3.683], [-0.457, 0.686, 0.279], [1.513, 1.142, 0.504], [1.331, 2.689, -0.919], [-0.676, 2.234, -1.109], [-0.061, 2.253, 2.017], [-1.064, 3.248, 1.036], [0.485, 4.480, 2.375], [1.835, 3.558, 1.816], [-1.126, -5.559, 0.651], [0.000, -4.817, 1.341], [-0.148, -3.401, 1.219], [-1.038, -2.835, 2.033], [-1.709, -3.412, 2.862], [-1.067, -1.536, 1.773], [-2.037, -0.797, 2.515], [-1.213, -5.235, -0.387], [-0.943, -6.634, 0.672], [-2.080, -5.362, 1.138], [0.950, -5.052, 0.864], [0.083, -5.096, 2.391], [-1.932, -0.977, 3.583], [-3.039, -1.063, 2.182], [-1.860, 0.254, 2.308], [-5.325, 2.562, -7.519], [-5.694, 2.157, -6.106], [-4.569, 2.221, -5.226], [-4.233, 3.446, -4.807], [-4.813, 4.469, -5.088], [-3.167, 3.337, -4.027], [-2.645, 4.579, -3.545], [-4.483, 1.968, -7.876], [-6.172, 2.415, -8.191], [-5.030, 3.610, -7.560], [-6.019, 1.118, -6.090], [-6.510, 2.766, -5.716], [-3.421, 5.166, -3.060], [-2.206, 5.143, -4.367], [-1.869, 4.342, -2.822], [5.671, -4.803, 4.369], [5.076, -3.435, 4.108], [3.681, -3.516, 3.793], [2.861, -3.692, 4.829], [3.186, -3.765, 5.989], [1.617, -3.760, 4.360], [0.611, -4.010, 5.345], [5.472, -5.471, 3.530], [6.749, -4.728, 4.512], [5.237, -5.255, 5.260], [5.545, -2.984, 3.236], [5.231, -2.763, 4.951], [0.673, -3.294, 6.161], [0.705, -5.027, 5.726], [-0.348, -3.902, 4.845]],
└──
The text goes on >

It was true in Jerusalem. When Nehemiah left, things began to deteriorate. He had served as governor for 12 years, and during that time, the wall was rebuilt, the Word was brought back to the center of the people’s lives, worship and giving were restored, the city was repopulated, families were strengthened, and God was honored. Nehemiah did not take credit for any of that, but his leadership could be summarized with his statement in chapter two: “The God of heaven will make us prosper, and we His servants will rise and build.”

When Nehemiah left, the people went back to business as usual, and even worse. The high priest invited Tobiah, the leader of the triumvirate who had opposed the Jews in building the wall around Jerusalem to come and live in the temple. This pagan enemy of the Jews was now living in a room in the house of God, the God he scorned and opposed at every turn!

How do we get to the place where we are inviting the enemy into places in our lives where he doesn’t belong? It happens gradually. You start believing what other people say, that maybe we are taking this ‘Christian thing’ too seriously. And maybe we don’t need to be THAT particular about what the Bible says. And maybe they’re right when they say all religions are the same. And maybe it’s true that there’s really nothing special about Jesus Christ the Nazarene, and . . . when you get to that point, it’s time to turn off the lights and go home. Or take action.

Nehemiah took action immediately and began to set things in order. He threw Tobiah’s furniture into the street and ordered the chambers to be cleansed and used again for their rightful purpose. He replaced unfaithful leaders with people he could trust. He brought back the Levites and restored worship to Jerusalem. And he gave thanks to God.

Leadership involves constant checking and fearless action. Otherwise, the mice take over.